To do.
The reader should count the lines underneath that contain the word "Mo5" and give the number alone.

Contents.
=====
Entry 1:
## SrZrMo (PBEsol)

Data for SrZrMo after structural relaxation.

Unit cell a=5.024 b=5.024 c=3.111 alpha=90.00 beta=90.00 gamma=120.00
Fractional positions:
Sr1 0.000 0.000 0.000
Zr1 0.333 0.667 0.500
Mo1 0.667 0.333 0.500

Offset from the most stable computed form, eV per atom: 0.299
Magnetic moment, μB/f.u.: 0.00
ΔE_f, eV/atom: 0.837

Entry 2:
## SrZrMo2 (PBEsol)

Data for SrZrMo2 after structural relaxation.

Unit cell a=5.757 b=5.757 c=2.792 alpha=98.80 beta=98.80 gamma=117.90
Fractional positions:
Sr1 0.000 0.000 0.000
Zr1 0.500 0.500 0.000
Mo1 0.000 0.500 0.500
Mo2 0.500 0.000 0.500

Offset from the most stable computed form, eV per atom: 0.000
Magnetic moment, μB/f.u.: 0.00
ΔE_f, eV/atom: 0.924

Entry 3:
## SrZr2Mo (PBEsol)

Data for SrZr2Mo after structural relaxation.

Unit cell a=6.061 b=6.061 c=6.061 alpha=148.38 beta=123.66 gamma=66.05
Fractional positions:
Sr1 0.000 0.000 0.000
Zr1 0.295 0.795 0.500
Zr2 0.705 0.205 0.500
Mo1 0.500 0.500 0.000

Magnetic moment, μB/f.u.: 0.00
ΔE_f, eV/atom: 0.512

Entry 4:
## Sr2ZrMo (PBEsol)

Data for Sr2ZrMo after structural relaxation.

Unit cell a=3.058 b=5.446 c=6.038 alpha=90.00 beta=90.00 gamma=90.00
Fractional positions:
Sr1 0.000 0.000 0.242
Sr2 0.000 0.000 0.758
Zr1 0.500 0.500 0.500
Mo1 0.500 0.500 0.000

Offset from the most stable computed form, eV per atom: 0.592
Magnetic moment, μB/f.u.: 0.00
ΔE_f, eV/atom: 1.017

Entry 5:
## SrZrMo2 (PBEsol)

Data for SrZrMo2 after structural relaxation.

Unit cell a=4.012 b=4.012 c=4.926 alpha=90.00 beta=90.00 gamma=90.00
Fractional positions:
Sr1 0.000 0.000 0.000
Zr1 0.500 0.500 0.000
Mo1 0.000 0.500 0.500
Mo2 0.500 0.000 0.500

Offset from the most stable computed form, eV per atom: 0.184
Magnetic moment, μB/f.u.: 0.00
ΔE_f, eV/atom: 1.108

Entry 6:
## Sr2ZrMo (PBEsol)

Data for Sr2ZrMo after structural relaxation.

Unit cell a=3.025 b=3.025 c=11.266 alpha=90.00 beta=90.00 gamma=98.55
Fractional positions:
Sr1 0.000 0.000 0.225
Sr2 0.000 0.000 0.775
Zr1 0.500 0.500 0.500
Mo1 0.500 0.500 0.000

Offset from the most stable computed form, eV per atom: 0.606
Magnetic moment, μB/f.u.: 0.00
ΔE_f, eV/atom: 1.031

Entry 7:
## TaMo7 (PBEsol)

Data for TaMo7 after structural relaxation.

Unit cell a=3.141 b=3.141 c=12.602 alpha=90.00 beta=90.00 gamma=90.00
Fractional positions:
Ta1 0.000 0.000 0.000
Mo1 0.000 0.000 0.252
Mo2 0.000 0.000 0.500
Mo3 0.000 0.000 0.748
Mo4 0.500 0.500 0.130
Mo5 0.500 0.500 0.377
Mo6 0.500 0.500 0.623
Mo7 0.500 0.500 0.870

Offset from the most stable computed form, eV per atom: 0.001
Magnetic moment, μB/f.u.: 0.00
ΔE_f, eV/atom: -0.062

Entry 8:
## TaMo2 (PBEsol)

Data for TaMo2 after structural relaxation.

Unit cell a=7.033 b=6.843 c=2.769 alpha=82.38 beta=74.66 gamma=22.97
Fractional positions:
Ta1 0.000 0.000 0.000
Mo1 0.331 0.331 0.669
Mo2 0.669 0.669 0.331

Magnetic moment, μB/f.u.: 0.00
ΔE_f, eV/atom: -0.086

----------

A plane-wave DFT calculation with PBE was carried out for Sm4ErAl after structural relaxation.

As for the crystal system: tetragonal. The formation energy from the elements comes out at -0.10 eV per atom. The value obtained for the excess energy over the best structure of this formula in the dataset is 0.0 kJ per mole of atoms. As for the raw total energy: -4.6322 eV per atom.

The space group is P4/mmm (No. 123) and the conventional cell measures 3.573, 3.573 and 14.310 Å, with angles of 90.00, 90.00 and 90.00 degrees. The inequivalent atoms are Sm at (0.000, 0.000, 0.137), Sm at (0.500, 0.500, 0.323), Er at (0.000, 0.000, 0.500) and Al at (0.500, 0.500, 0.000).

----------

VASP calculation (GGA+U) on LiTmVF6 after structural relaxation.

a b c (Å): 4.9479 4.9479 9.8229
angles (deg): 90.00 90.00 90.00
Closest atoms and distances in Å follow each position.
Space group P4_2nm (No. 102)
Inequivalent atoms, fractional coordinates:
Li (0.0000, 0.0000, 0.0000) [2 per cell]  6 F 2.10-2.15
Tm (0.0000, 0.0000, 0.3347) [2 per cell]  6 F 2.15-2.16
=====

Completed.
1